• Listing:
~~~
(1)
62
Properties=species:S:1:pos:R:3:forces:R:3:lowdin_charge:R:1 method="wB97M-V/def2-TZVPD" e_above_lowest_kcal_mol=76.1 max_force_ev_per_a=2.62 e_lumo_ha=-0.001 total_energy_ev=-38052.745
C 0.105219 0.702347 -0.131340 -1.6 -0.8 1.9 -0.022
N -0.487198 0.646560 1.281317 0.8 1.3 -1.6 -0.232
C -0.032383 1.846308 2.101402 -0.5 -2.2 0.3 -0.129
C 0.223982 1.204342 3.498277 -0.6 0.7 1.1 -0.141
C 0.551044 -0.315081 3.278310 -1.2 1.6 -0.6 -0.125
C -0.124872 -0.578245 1.918795 0.9 -2.3 0.6 -0.237
H -0.236280 1.649383 -0.470024 0.2 1.0 -0.8 0.068
H -0.513999 -0.054432 -0.674183 1.2 0.4 0.0 0.081
H 1.217641 0.599064 -0.113588 -0.9 -0.2 -0.3 0.090
H 0.904408 2.221053 1.705799 0.2 0.2 -0.1 0.098
H -0.828184 2.606608 2.017092 0.5 -0.2 0.4 0.116
H -0.656415 1.152894 4.117914 -1.0 0.4 -0.2 0.089
H 0.847169 1.890998 4.139140 0.2 -1.2 -0.8 0.123
H 0.223842 -1.040065 4.022043 0.0 0.5 0.3 0.114
H 1.586489 -0.402432 3.157297 1.6 -0.5 0.0 0.058
H 0.590867 -1.187693 1.382275 0.8 0.5 -0.9 0.089
H -0.873369 -1.393410 1.908936 -0.9 0.9 0.7 0.115
H -1.046930 -2.043680 -1.155672 0.4 -0.2 0.3 0.038
H -2.465216 -1.831160 -1.544228 -0.8 0.1 0.0 0.028
O -1.716372 -2.405202 -1.737606 0.1 0.1 0.3 -0.029
H 2.106290 -3.021460 -1.024649 0.3 0.1 0.0 0.029
H 3.282711 -2.116884 -0.504734 -0.1 0.1 -0.5 -0.017
O 2.493183 -2.614832 -0.241711 -0.4 -0.2 0.4 -0.068
H 3.597482 1.217843 -1.833226 -1.0 0.2 -0.3 0.001
H 3.452975 2.124303 -0.545770 -0.5 -0.3 0.3 0.025
O 4.042045 1.794589 -1.217966 1.3 0.2 -0.4 -0.035
H 2.694365 -0.306011 -4.165377 0.2 -0.4 1.1 0.076
H 2.891914 -1.482352 -3.098888 -0.3 0.9 -0.4 0.059
O 3.130324 -0.556020 -3.308643 -0.3 -0.3 -1.0 -0.086
H -0.758228 -2.371450 -3.015637 0.0 -0.1 -0.3 -0.017
H -0.077590 -3.208908 -4.131051 -0.1 -0.3 -0.2 0.042
O -0.010177 -2.387814 -3.652623 0.5 0.4 -0.1 -0.071
H -4.578815 1.541433 -0.779839 0.1 0.9 0.6 0.037
H -3.002925 1.835746 -0.672331 -0.4 0.5 0.4 0.003
O -3.708833 1.399166 -1.142005 0.2 -1.5 -1.5 -0.042
H -4.872171 -1.986384 -0.972815 -0.4 0.0 -0.2 0.069
H -4.382753 -0.634145 -0.421510 -0.2 1.1 -0.1 0.012
O -4.122189 -1.525648 -0.602559 0.7 -1.0 0.1 -0.028
H 0.781501 0.333520 -3.232132 0.1 0.3 0.3 0.014
H 0.361312 -0.559332 -4.327744 -0.2 -0.3 -0.2 0.003
O 0.680437 0.340491 -4.184005 0.0 0.0 -0.3 -0.062
H 5.125546 -1.451043 0.808396 -0.1 -0.1 0.0 0.019
H 4.301638 -2.403283 1.676964 -0.3 -0.3 -0.1 0.030
O 4.874525 -1.640471 1.722767 0.4 0.4 0.1 -0.047
H -3.694098 0.061022 1.717463 0.1 0.3 0.1 0.059
H -2.320651 0.741210 1.381518 0.1 -0.1 0.4 0.033
O -3.226833 0.907677 1.762515 0.3 -0.6 0.0 -0.069
H -4.144816 -3.213158 0.928623 0.2 0.1 0.7 0.008
H -3.501679 -3.037108 2.358587 -0.7 -0.4 -0.7 0.041
O -4.284079 -3.385562 1.878025 0.6 0.3 0.1 -0.080
H 4.611857 -1.197924 -2.320921 0.4 -0.5 1.1 0.057
H 4.435969 -0.133615 -1.383510 0.2 0.0 1.2 0.010
O 4.625492 -1.085716 -1.337124 0.3 0.1 -1.3 -0.086
H -3.011074 4.205038 -0.877998 -0.5 -0.1 0.4 -0.012
H -1.844336 5.208248 -1.060926 -0.2 -0.1 0.1 0.034
O -2.202139 4.366247 -1.357526 0.7 0.0 -0.4 -0.056
H 2.773538 0.143971 1.886546 0.2 0.0 -0.1 0.005
H 4.238015 0.506591 1.743452 0.1 -0.3 0.0 0.032
O 3.360553 0.784433 1.470802 -0.5 0.5 0.0 -0.052
H -3.772603 3.948123 1.382928 0.0 -0.1 0.3 0.044
H -3.603200 2.377780 1.174417 -0.6 0.7 0.2 -0.012
O -4.011928 3.213530 0.818263 0.2 -0.1 -0.3 -0.093

(2)
63
Properties=species:S:1:pos:R:3:forces:R:3:lowdin_charge:R:1 method="wB97M-V/def2-TZVPD" e_above_lowest_kcal_mol=0.0 max_force_ev_per_a=3.39 total_charge=+1 e_lumo_ha=-0.085 total_energy_ev=-36949.215
N 1.010096 2.002479 -1.201006 -1.8 0.1 -0.5 0.125
C 1.152838 1.849701 0.286020 0.7 0.8 0.3 -0.131
C -0.157058 1.359618 0.985085 0.6 0.3 0.5 -0.178
N -0.810261 0.231531 0.309853 0.5 2.7 0.5 -0.055
C -0.019351 -0.986022 0.153985 -2.3 -1.3 0.9 -0.336
C -0.368671 -2.021510 1.287065 2.1 -2.1 -1.7 -0.031
C -0.561839 -1.516002 -1.212541 2.3 0.1 -1.8 -0.214
N 0.271206 -2.584298 -1.874542 0.2 0.1 3.2 0.020
H 0.421688 1.183832 -1.463621 0.8 0.3 -0.3 0.114
~~~

• Brief:
Filter the block above: keep the lines with the word "e_lumo_ha", please.

• Worked solution:
Properties=species:S:1:pos:R:3:forces:R:3:lowdin_charge:R:1 method="wB97M-V/def2-TZVPD" e_above_lowest_kcal_mol=76.1 max_force_ev_per_a=2.62 e_lumo_ha=-0.001 total_energy_ev=-38052.745
Properties=species:S:1:pos:R:3:forces:R:3:lowdin_charge:R:1 method="wB97M-V/def2-TZVPD" e_above_lowest_kcal_mol=0.0 max_force_ev_per_a=3.39 total_charge=+1 e_lumo_ha=-0.085 total_energy_ev=-36949.215